In March 2019, the CEO of a UK-based energy firm received a phone call from Germany which he believed from his boss, asking him to immediately transfer €220,000 to the bank account of a Hungarian supplier (Stupp 2019).The CEO followed the order of his boss and transferred the money. On the same day, he received another call again impersonating his boss, but this time the call was from Australia, and therefore, the CEO was suspicious, so he informed the police, and realized that he was scammed. The scammerhassuccessfully impersonated the boss’s voice using Artificial Intelligence (AI)techniques and convinced the CEO to transfer the money. In the phone conversation, the CEO even recognizes his boss’s slight German accent in his voice. Imagine an impersonated video call from his boss with all the facial expressions instead of a voice call, that would not have given any doubt at all to the CEO. This is just one of the examples that showshow a DeepFake can fool humans, and how serious its implications are.
## Inserted here: crystal structures
- - -
The following is a theoretical powder diffractogram of CsNp4Co3S12. It was derived from a PBE-relaxed structure, using Cu Kα (weighted mean of Kα1 and Kα2).

Structural model:
abc: 8.3617 8.3617 8.3617
angles: 109.47 109.47 109.47
Fractional coordinates of all 20 atoms:
Cs 0.0000 0.0000 0.0000
Np 0.0000 0.0000 0.5000
Np 0.0000 0.5000 0.0000
Np 0.5000 0.0000 0.0000
Np 0.5000 0.5000 0.5000
Co 0.0000 0.5000 0.5000
Co 0.5000 0.0000 0.5000
Co 0.5000 0.5000 0.0000
S 0.1643 0.3328 0.4971
S 0.1643 0.6672 0.8315
S 0.1685 0.8357 0.3328
S 0.3328 0.1685 0.8357
S 0.3328 0.4971 0.1643
S 0.4971 0.1643 0.3328
S 0.5029 0.8357 0.6672
S 0.6672 0.5029 0.8357
S 0.6672 0.8315 0.1643
S 0.8315 0.1643 0.6672
S 0.8357 0.3328 0.1685
S 0.8357 0.6672 0.5029

Most intense lines, 10° ≤ 2θ ≤ 90°, low angle first:
2θ/deg	Rel. int.
18.38	31
26.10	100
32.11	8
37.25	23
41.84	23
46.05	60
53.70	14
60.66	23
73.38	23
85.30	18

* * * * *

(1)
Simulated X-ray powder pattern of LaZrO3 for copper Kα, from a structure optimized by DFT (PBE).
Neutral-atom scattering factors, no anomalous dispersion.

The 10 most intense peaks (2θ = 10–90°), in order of rising 2θ:
two_theta, d/Å, I_rel
21.19, 4.194, 15
30.14, 2.965, 1000
37.13, 2.421, 72
43.14, 2.097, 314
53.52, 1.712, 402
62.66, 1.483, 193
71.09, 1.326, 172
75.13, 1.264, 21
79.11, 1.211, 63
86.91, 1.121, 207

Atomic structure:
Unit cell a=4.194 b=4.194 c=4.194 alpha=90.00 beta=90.00 gamma=90.00
Space group Pm-3m (No. 221)
Inequivalent atoms, fractional coordinates:
La  0.000  0.000  0.000 x1
Zr  0.500  0.500  0.500 x1
O  0.000  0.500  0.500 x3

(2)
Simulated X-ray powder pattern of Tm2GeO5 for copper Kα, from a structure optimized by DFT (PBE).
Neutral-atom scattering factors, no anomalous dispersion.

The 10 most intense peaks (2θ = 10–90°), in order of rising 2θ:
two_theta, d/Å, I_rel
19.13, 4.639, 370
26.51, 3.362, 322
29.87, 2.991, 895
30.78, 2.905, 1000
33.22, 2.697, 231
33.52, 2.674, 332
34.73, 2.583, 361
49.04, 1.858, 376
54.60, 1.681, 193
58.76, 1.571, 213

Atomic structure:
Unit cell a=11.556 b=5.167 c=7.373 alpha=90.00 beta=114.22 gamma=90.00
Space group C2/c (No. 15)
Inequivalent atoms, fractional coordinates:
Tm  0.143  0.013  0.266 x8
Ge  0.000  0.500  0.000 x4
O  0.000  0.335  0.250 x4
O  0.076  0.189  0.966 x8
O  0.167  0.348  0.634 x8

(3)
Simulated X-ray powder pattern of Er3Ge13Rh4 for copper Kα, from a structure optimized by DFT (PBE).
Neutral-atom scattering factors, no anomalous dispersion.

The 10 most intense peaks (2θ = 10–90°), in order of rising 2θ:
two_theta, d/Å, I_rel
22.02, 4.037, 149
34.42, 2.606, 247
35.87, 2.503, 1000
37.27, 2.412, 410
39.95, 2.257, 310
49.47, 1.842, 195
59.74, 1.548, 125
63.54, 1.464, 138
69.02, 1.361, 218
76.89, 1.240, 112

Atomic structure:
Unit cell a=9.026 b=9.026 c=9.026 alpha=90.00 beta=90.00 gamma=90.00
Space group Pm-3n (No. 223)
Inequivalent atoms, fractional coordinates:
Er  0.000  0.250  0.500 x6
Ge  0.000  0.000  0.000 x2
Ge  0.000  0.310  0.147 x24
Rh  0.250  0.250  0.250 x8
- - -
The term “DeepFake” is first emerged in 2017 by a Reddituser whoenjoyscreating pornographic videos. This user used AI algorithms on his home computer to replace the faces of pornographic stars in pornographic videos with the faces of celebrities as if the celebrities are performing in those videos, and uploaded them.DeepFakes, as the name implies, are fake, but super-realistic AI synthesized content such as images, videos, texts, or any other forgeries. Figure 1 shows some examplesof fake face images generated by AI.
### Next to the entry, the page also holds calculated crystals
____________
Starting from a cell relaxed with PBE, the X-ray diffraction stick pattern of ZnCu2PO9 was computed for CuKα.
Neutral-atom scattering factors, no anomalous dispersion.

Most intense lines, 2θ = 15–90°, by intensity:
| two_theta | Rel. int. |
| --- | --- |
| 25.55 | 100.0 |
| 37.18 | 64.9 |
| 26.66 | 54.9 |
| 30.83 | 54.8 |
| 33.09 | 42.8 |
| 19.58 | 42.8 |
| 34.37 | 42.7 |
| 15.60 | 41.9 |
| 40.05 | 35.9 |
| 37.90 | 34.4 |
| 39.37 | 33.5 |
| 18.33 | 31.8 |

Structure:
Cell lengths 7.174, 9.795, 9.960 Å; angles 90.00, 103.60, 90.00 degrees
Fractional coordinates of all 52 atoms:
Zn  0.089  0.069  0.227
Zn  0.089  0.431  0.727
Zn  0.911  0.569  0.273
Zn  0.911  0.931  0.773
Cu  0.454  0.221  0.850
Cu  0.454  0.279  0.350
Cu  0.494  0.083  0.121
Cu  0.494  0.417  0.621
Cu  0.506  0.583  0.379
Cu  0.506  0.917  0.879
Cu  0.546  0.721  0.650
Cu  0.546  0.779  0.150
P  0.075  0.207  0.933
P  0.075  0.293  0.433
P  0.925  0.707  0.567
P  0.925  0.793  0.067
O  0.000  0.152  0.378
O  0.000  0.348  0.878
O  0.000  0.652  0.122
O  0.000  0.848  0.622
O  0.013  0.660  0.450
O  0.013  0.840  0.950
O  0.041  0.105  0.809
O  0.041  0.395  0.309
O  0.301  0.219  0.993
O  0.301  0.281  0.493
O  0.345  0.055  0.754
O  0.345  0.445  0.254
O  0.347  0.657  0.886
O  0.347  0.843  0.386
O  0.360  0.749  0.800
O  0.360  0.751  0.300
O  0.371  0.115  0.268
O  0.371  0.385  0.768
O  0.391  0.590  0.536
O  0.391  0.910  0.036
O  0.609  0.090  0.964
O  0.609  0.410  0.464
O  0.629  0.615  0.232
O  0.629  0.885  0.732
O  0.640  0.249  0.700
O  0.640  0.251  0.200
O  0.653  0.157  0.614
O  0.653  0.343  0.114
O  0.655  0.555  0.746
O  0.655  0.945  0.246
O  0.699  0.719  0.507
O  0.699  0.781  0.007
O  0.959  0.605  0.691
O  0.959  0.895  0.191
O  0.987  0.160  0.050
O  0.987  0.340  0.550

---

Starting from a cell relaxed with PBE, the X-ray diffraction stick pattern of ZnCuP4O12 was computed for CuKα.
Neutral-atom scattering factors, no anomalous dispersion.

Most intense lines, 2θ = 15–90°, by intensity:
| two_theta | Rel. int. |
| --- | --- |
| 29.43 | 100.0 |
| 20.68 | 36.6 |
| 26.10 | 33.9 |
| 27.63 | 30.6 |
| 34.15 | 27.9 |
| 30.87 | 23.9 |
| 42.66 | 22.2 |
| 37.25 | 21.9 |
| 24.87 | 18.7 |
| 19.14 | 15.3 |
| 40.60 | 12.3 |
| 59.83 | 11.3 |

Structure:
Cell lengths 7.286, 7.286, 10.030 Å; angles 112.91, 112.91, 70.02 degrees
Fractional coordinates of all 36 atoms:
Zn  0.051  0.949  0.750
Zn  0.949  0.051  0.250
Cu  0.000  0.500  0.500
Cu  0.500  0.000  0.000
P  0.254  0.730  0.022
P  0.270  0.746  0.478
P  0.297  0.314  0.802
P  0.314  0.297  0.302
P  0.686  0.703  0.698
P  0.703  0.686  0.198
P  0.730  0.254  0.522
P  0.746  0.270  0.978
O  0.091  0.851  0.095
O  0.123  0.289  0.325
O  0.149  0.909  0.405
O  0.189  0.710  0.584
O  0.192  0.336  0.647
O  0.209  0.505  0.928
O  0.289  0.123  0.825
O  0.290  0.811  0.916
O  0.317  0.534  0.345
O  0.336  0.192  0.147
O  0.466  0.683  0.155
O  0.495  0.791  0.572
O  0.505  0.209  0.428
O  0.534  0.317  0.845
____________
Figure 1: Examples of photorealistic fake faces generated by AI. These images do not represent realhuman faces but are generated by AI (Image from(Karras 2016)).
How are Deep Fakes generated?
Most DeepFakes are created by Generative Adversarial Networks (GANs)(Kelly2021) – a Deep Learning (DL) technique which is originally proposed by IanGoodfellow and his team in 2014 (Goodfellow2014)DL is a subfield of AI, which is based on a deep version (multiple layers) of Artificial Neural Networks, mimicking the way the human brain works. GAN contains two parts: a generator and a discriminator. The generator generatesDeepFakes, and the discriminator, on the other hand,identifiesfakes (i.e., generated by the generator) from the real ones. Both of them are trained in an adversarial manner.
In a real-world scenario, let’s assume that I am (the generator) trying to generate a fake signature of yours. In the beginning, the signature I generated could look far different from your one, and therefore, you (the discriminator) can easily identify that it is a fake one. However, as my main aim is to fool you, over time I will be improving my skills. At the same time, you also will be improving your skills on discriminating fake signatures from the real ones often as I will be showing the signature that I generated to you. However, eventually, I will become an expert in generating your signature, and at that point, you will no longer be able to distinguish a signature given to you is generated by me or is signed by you. This explains the basic idea of GANs.
Although generating forgeries with the aid of computers isnot new, the forgeries generated by GANs are more realistic and convincing than the previously generated ones.
Benefits of DeepFakes
GANs have a wide range of applications due to their ability to generate realistic DeepFakes. These applications includedata augmentation to train DL models, image-to-image translations, image Inpainting, image super-resolution, text-to-image synthesis, etc.
DL algorithms are usually data hungry – they require a large amount of data to train them. Collecting a large amount of data is a difficult, time-consuming, and expensive procedure, particularly inthe field of medical image analysis. But by the use of GANs new data can be generated and added with the existing data to train the DL models, and the models that are trained in this way generally produce better results than the models trained using only the original training data.
The purpose of image-to-image translation is to transfer the style of the images while preserving their contents unchanged. This includes generating colored images from their black and white counterparts, cartooning photographs, generating photographs from painting, converting day-time images to night-time images, and vice-versa, changingthe emotions of given face images (e.g., happy face to sad face). With image Inpainting, we can restore adamaged photograph with missing pixels into a complete, realistic-looking undamaged image.Usually, when we upscale low-resolution images their details will be blurred. To overcome this, GANs provide ways to get high-resolution images from their low-resolution versions. GANs also can be used to generate images from text descriptions (e.g., “a white bird with brown wings”).
Possible threats byDeepFakes
Although DeepFakes provide a wide range of advantages, their threats are inevitable. Because of the availability of the source codes and software freely available online, almost anyone with some technical knowledge can generate DeepFakes and misuse it in different ways. This includes the generation of forgeries such as signatures, handwrittendocuments, etc., to the generation of humorous, pornographic, or political videos of a person saying or doing something that he/she never said or did. The following are only a few possible threats among them.
- Generation of fake evidence: Signatures and handwritten documents are some formsof evidencepeople use in their day-to-day life and at the courts. This evidence can be generated byDeepFaketechniques andcan be misused as if they were real.
• Between two parts of the text: materials data:
=====
Record 1
# Cs2TmPa3O12
Theoretical powder XRD pattern, copper Kα. Input: a cell relaxed with GGA-PBE.
Kinematic intensities with the Lorentz-polarization factor, no thermal factor.

Crystal structure
a b c (Å): 8.2216 8.2216 19.2646
angles (deg): 90.00 90.00 120.00
Space group R-3m (No. 166, hexagonal axes)
One atom of each set of equivalent atoms:
1 Cs 0.0000 0.0000 0.1347
2 Tm 0.0000 0.0000 0.5000
3 Pa 0.0000 0.5000 0.0000
4 O 0.0751 0.5376 0.1026
5 O 0.0856 0.5428 0.3566

Peak list (10 most intense, 15 to 90 degrees two-theta, low angle first)
| 2θ (°) | I/Imax | h k l |
| --- | --- | --- |
| 25.44 | 65.2 | 0 2 1 |
| 25.73 | 100.0 | 1 1 3 |
| 26.30 | 34.4 | 0 1 5 |
| 26.70 | 80.2 | 2 0 2 |
| 27.79 | 31.1 | 0 0 6 |
| 40.52 | 33.0 | 3 0 3 |
| 44.06 | 43.8 | 2 2 0 |
| 45.47 | 37.8 | 2 0 8 |
| 52.89 | 32.5 | 2 2 6 |
| 61.39 | 17.6 | 1 4 3 |

=====

Record 2
# U7Se12
Theoretical powder XRD pattern, copper Kα. Input: a cell relaxed with GGA-PBE.
Kinematic intensities with the Lorentz-polarization factor, no thermal factor.

Crystal structure
a b c (Å): 11.4779 11.4779 3.9403
angles (deg): 90.00 90.00 120.00
Space group P-6 (No. 174)
One atom of each set of equivalent atoms:
1 U 0.0000 0.0000 0.0000
2 U 0.1475 0.7179 0.0000
3 U 0.4432 0.1526 0.5000
4 Se 0.0035 0.7914 0.5000
5 Se 0.1432 0.5255 0.5000
6 Se 0.2534 0.0040 0.0000
7 Se 0.5131 0.3705 0.0000

Peak list (10 most intense, 15 to 90 degrees two-theta, low angle first)
| 2θ (°) | I/Imax | h k l |
| --- | --- | --- |
| 23.68 | 100.0 | 2 1 0 |
| 28.92 | 32.4 | 2 0 1 |
| 32.94 | 86.2 | 1 2 1 |
| 35.40 | 48.1 | 3 0 1 |
| 38.82 | 35.8 | 2 2 1 |
| 39.91 | 44.9 | 3 1 1 |
| 41.64 | 66.2 | 1 4 0 |
| 46.04 | 42.9 | 0 0 2 |
| 52.44 | 25.4 | 2 1 2 |
| 63.82 | 38.6 | 1 4 2 |

=====

Record 3
# Cs3NpPa2N6
Theoretical powder XRD pattern, copper Kα. Input: a cell relaxed with GGA-PBE.
Kinematic intensities with the Lorentz-polarization factor, no thermal factor.

Crystal structure
a b c (Å): 6.2677 10.8498 7.3835
angles (deg): 90.00 106.46 90.00
Space group C2/m (No. 12)
One atom of each set of equivalent atoms:
1 Cs 0.0000 0.0000 0.0000
2 Cs 0.0000 0.3336 0.0000
3 Np 0.0000 0.5000 0.5000
4 Pa 0.0000 0.1666 0.5000
5 N 0.2104 0.3364 0.6402
6 N 0.2192 0.0000 0.6407

Peak list (10 most intense, 15 to 90 degrees two-theta, low angle first)
| 2θ (°) | I/Imax | h k l |
| --- | --- | --- |
| 25.15 | 57.1 | 0 0 2 |
| 29.73 | 100.0 | 2 0 0 |
| 33.20 | 95.5 | 1 3 1 |
| 44.74 | 37.0 | 2 0 2 |
| 50.45 | 30.7 | 0 6 0 |
| 52.01 | 26.9 | 1 3 3 |
| 57.19 | 36.7 | 3 3 1 |
| 59.66 | 14.9 | 2 6 0 |
| 61.74 | 16.0 | 4 0 0 |
| 75.08 | 15.5 | 3 3 3 |

=====

Record 4
# Tb4GeAs3
Theoretical powder XRD pattern, copper Kα. Input: a cell relaxed with GGA-PBE.
Kinematic intensities with the Lorentz-polarization factor, no thermal factor.

Crystal structure
a b c (Å): 5.8614 5.8614 5.8614
angles (deg): 90.00 90.00 90.00
Space group Pm-3m (No. 221)
One atom of each set of equivalent atoms:
1 Tb 0.0000 0.0000 0.0000
=====
• So much for the materials data:
- Fake news generation: The generation and distribution of fake news with false information in the form of texts or audio-visuals can quickly spread through social media and caneasily reach and impact millions of users. A convincing video of a politician or a military person engaged in a crime, or giving some racist comments will certainly leadto harmfulconsequences in society. These videos can be generated by a range of parties for different purposes, which include terrorist organizations to make disturbances in the society, politicians or foreign intelligence agencies for propaganda purposes and to disturb the election campaigns or to skew the voters’ opinion on the election, or even it can be created bysomeone forentertainment.
- Denial of genuine content: Due to DeepFakes the authenticity of the audio-visual footageis going to be in question. Even a criminal can deny that the evidence related to the crime isDeepFakes, and the officials/politicians engaged in corruption can now be relaxed and whenever there is video footage of getting bribery,it can be claimedas deep fake.This will reduce the trust people have in the law-enforcing officers and the law of the country.
- Stock market manipulation:DeepFake videos can also be created for stock market manipulation. Recently, we have seen in the news that the Coca-Cola shares dropped by around $4 billion after Cristiano Ronaldo’s gesture to drink water instead of Coca-Cola at the Euro 2020 press conference (Gilbert 2021).DeepFakes can be created to promote or demote products.
- Pornography: This includes the creation of celebrity porn and revenge porn, where the faces of the actors in the pornography videos are swapped with the faces of the targeted individuals without their consent. These generated videos can also be used for blackmailing purposes.
How to identify Deep Fakes?
Although, most of the DeepFakes are currently identified by human experts, there are some tools which are already proposed for the identification of DeepFakes. For example, a tool developed at the University at Buffalo (Khanna2021) claims that it can detect DeepFakes at an accuracy of 94% by analysing eyes, eyeballs as well as the light reflections from it.However, as the technology is progressing faster, the identification of DeepFakesis going to be more and more challengingshortly. Let’s again consider the signature example explained earlier. If you tell me that I am doing a good job with mimicking your signature, however, I need to give a bit more focus on a particular letter thatneeds some improvements. In that case, I will give more focus on that letter to improve the way it is written. So as far as a weakness is identified with the creation of the DeepFakes remedies are taken to overcome the weaknesses. The DeepFake videos created in the earlier days were easy to spot as the eyes of the face-swapped people in those videos do not blink. But remedies were taken to overcome it and nowadays we have DeepFakes with naturally blinking eyes. So,as the technology is progressing faster it is going to be difficult to spot DeepFakes by humans, and even with some specialized tools.
Gilbert A. C., 2021 https://finance.yahoo.com/news/coca-cola-shares-drop-4-122329719.html (Accessed 08 July 2021)
Goodfellow I. J., Pouget-Abadie J., Mirza M., Xu B., Warde-Farley D., Ozair S., Courville A. C., &Bengio Y. 2014 Generative Adversarial Networks, International Conference on Neural Information Processing Systems.
Karras T., Aila T., Laine S., &Lehtinen J., 2018 Progressive Growing of GANs for Improved Quality, Stability, International Conference on Learning Representations.
Kelly M. S., & Laurie A. H., 2021 Deep Fakes and National Security, Congressional Research Service Report
Khanna M, 2021 AI Tool Can Detect Deepfakes With 94% Accuracy By Scanning The Eyes, https://www.indiatimes.com/technology/news/deepfakes-ai-detection-tool-scan-eyes-suny-buffalo-536392.html (Accessed 11 November 2021)
Stupp C., 2019 Fraudsters Used AI to Mimic CEO’s Voice in Unusual Cybercrime Case, https://www.wsj.com/articles/fraudsters-use-ai-to-mimic-ceos-voice-in-unusual-cybercrime-case-11567157402(Accessed 08 July 2021)